’Tis the season for food, family and festivities! Unfortunately, even our pets can overindulge and earn themselves a spot on the naughty list and a trip to the vet. Here are some tips to help you keep your furry family members healthy for the holidays.
Most people know that chocolate can be toxic to dogs. In general, darker chocolate is more toxic as it contains more cocoa but even milk chocolate can be deadly if enough is ingested. Depending on the dose, it can trigger vomiting, diarrhea, hyperactivity, heart arrhythmias, seizures and death. So be sure to move that bowl of chocolate kisses off of the coffee table.
Growing up, my family’s black lab loved to get into the garbage during the holidays. I guess you could say it was his cornucopia. Turkey carcasses have cooked bones that can splinter and puncture the esophagus and stomach, leading to narrowing of the esophagus or life threatening abdominal infections. All animal bones have the potential to get stuck in the back of the throat and cause choking. Eating scraps of fat and skin can trigger pancreatitis. Signs include a poor appetite, vomiting, diarrhea and abdominal pain, and treatment usually requires hospitalization. With treatment, most animals recover but many have relapses, and pancreatitis can be fatal. The bottom line is to be sure to keep the garbage secured or take it out.
Onions, garlic, shallots, leeks, ramps, scallions and chives are toxic to both dogs and cats. Even onion/garlic powder in food can be problematic. It can cause damage to red blood cells, resulting in a hemolytic anemia. Typically, the anemia is dose-dependent so small amounts shouldn’t be life-threatening but should still be avoided.
Macadamia nuts can cause hind-limb paralysis, stumbling and fever in dogs. While scary, this is temporary and not life-threatening. Other nuts have the potential to get stuck in the intestines and cause an obstruction if swallowed whole.
Grapes and raisins can cause acute kidney failure in some dogs. The exact mechanism isn’t yet understood and there’s no way to determine which dogs are immune to their effects. Feeding grapes or raisins to your dog as a test is not recommended. So now you have a good excuse to re-gift that fruitcake and get it out of the house!

The plastic variety of mistletoe is more common nowadays, but the real plant, if ingested, can cause gastrointestinal irritation and, rarely, cardiac arrhythmias.
**Between two parts of the page: calculated molecules**
/*
# 1
57
Properties=species:S:1:pos:R:3:lowdin_charge:R:1 method="wB97M-V/def2-TZVPD" s2=0.7555 multiplicity=2 lumo_energy_ev="0.260 / -0.966" charge=0 gap_ev="7.76 / 6.40" fmax_ev_per_a=1.716 homo_energy_ev="-7.497 / -7.366"
Cu 0.122 1.206 0.179 0.657
C -1.694 3.340 1.306 -0.054
N -1.475 1.908 1.445 -0.279
C -2.641 1.169 0.971 -0.154
C -2.526 0.821 -0.538 -0.207
N -1.333 1.397 -1.110 -0.078
C -1.107 1.296 -2.425 -0.194
C 0.015 1.981 -2.964 -0.155
F 0.797 2.656 -2.100 0.080
C 0.334 1.986 -4.306 -0.150
F 1.403 2.662 -4.744 0.116
C -0.463 1.295 -5.219 -0.150
F -0.161 1.288 -6.526 0.106
C -1.571 0.606 -4.742 -0.151
F -2.348 -0.076 -5.595 0.113
C -1.874 0.594 -3.390 -0.131
F -2.953 -0.135 -3.020 0.069
C -0.988 1.556 2.778 -0.173
C 0.505 1.890 2.868 -0.204
N 1.255 1.322 1.758 -0.067
C 1.980 0.205 1.944 -0.227
C 1.790 -0.815 2.910 -0.144
F 0.725 -0.763 3.756 0.059
C 2.567 -1.957 2.971 -0.151
F 2.284 -2.902 3.884 0.106
C 3.597 -2.160 2.063 -0.145
F 4.341 -3.275 2.107 0.107
C 3.818 -1.194 1.081 -0.147
F 4.789 -1.382 0.178 0.114
C 3.048 -0.052 1.041 -0.170
F 3.278 0.852 0.078 0.093
H -2.497 3.675 1.974 0.100
H -1.967 3.550 0.276 0.095
H -0.787 3.887 1.539 0.088
H -3.547 1.761 1.144 0.121
H -2.745 0.242 1.537 0.109
H -3.404 1.201 -1.069 0.121
H -2.530 -0.272 -0.642 0.104
H -1.118 0.484 2.938 0.099
H -1.550 2.075 3.566 0.130
H 0.898 1.565 3.836 0.122
H 0.632 2.975 2.804 0.105
C -1.136 -3.880 1.213 -0.007
C -0.379 -2.894 0.409 -0.283
C 0.426 -3.020 -0.702 0.038
C 0.846 -1.720 -1.031 -0.306
N 0.330 -0.858 -0.166 0.042
N -0.402 -1.579 0.700 0.072
C 1.731 -1.332 -2.154 0.000
H -0.812 -4.883 0.959 0.086
H -2.205 -3.805 1.015 0.087
H -0.977 -3.709 2.276 0.084
H 0.687 -3.922 -1.211 0.114
H -0.858 -1.131 1.478 0.139
H 2.449 -2.127 -2.331 0.089
H 2.254 -0.407 -1.936 0.075
H 1.147 -1.194 -3.064 0.083

---

# 2
49
Properties=species:S:1:pos:R:3:lowdin_charge:R:1 method="wB97M-V/def2-TZVPD" relative_energy_ev=1.594 lumo_energy_ev=-0.922 charge=0 smiles="O=C1c2ccccc2C(=O)N1SC(F)(F)F.C1=C(N2CCCC2)c2ccccc2C1" gap_ev=6.08 fmax_ev_per_a=2.273 homo_energy_ev=-7.006
O 2.650 -0.325 -0.243 0.069
C 2.752 0.897 -0.195 -0.413
C 1.839 1.939 -0.684 -0.104
C 0.883 1.831 -1.696 0.000
C 0.264 3.039 -2.049 -0.055
C 0.511 4.254 -1.379 -0.044
C 1.530 4.331 -0.425 0.012
C 2.189 3.154 -0.090 -0.075
C 3.482 2.975 0.663 -0.347
O 4.168 3.736 1.317 0.122
N 3.818 1.606 0.368 -0.234
S 5.319 0.764 0.745 1.111
C 6.740 1.755 -0.029 -0.777
F 7.854 1.708 0.760 0.080
F 6.418 3.058 -0.192 0.089
F 7.096 1.276 -1.245 0.078
H 0.647 0.906 -2.241 0.134
H -0.434 3.024 -2.885 0.110
H -0.087 5.109 -1.679 0.108
H 1.818 5.267 0.033 0.124
C -0.215 -0.540 0.857 -0.025
C -1.113 -1.614 0.904 -0.174
N -0.996 -2.770 0.162 -0.074
C -2.091 -3.742 0.145 -0.171
C -1.965 -4.527 -1.165 -0.159
C -0.705 -4.015 -1.890 -0.171
C -0.362 -2.687 -1.212 -0.129
C -2.412 -1.091 1.498 -0.103
C -3.551 -1.706 2.073 -0.042
C -4.655 -0.905 2.445 -0.091
C -4.658 0.491 2.210 -0.098
C -3.530 1.086 1.627 -0.045
C -2.404 0.306 1.326 -0.155
*/
Most types of Christmas-tree needles can be problematic if ingested. The most common signs after ingestion of the needles are vomiting, anorexia, abdominal pain and depression.
Poinsettias can cause an upset stomach but, contrary to popular belief, cannot cause significant toxicity. The leaves are very bitter and after one bite, most dogs and cats lose interest. The poisonous poinsettia myth arose in 1919 after a toddler’s death was mistakenly attributed to eating poinsettia. There have been numerous studies over the years that have failed to find any toxic component, and there have been no other human or animal deaths reported.
Although they are more common around Easter, lilies can be found in holiday floral arrangements. All species of lily can cause acute kidney failure as well as GI upset in cats. All parts of the plant are toxic, including the pollen. I recommend keeping lilies out of any home with cats.
Other hazards
Tinsel and ribbon are cat favorites, and can make for adorable photos. But they can become anchored under the tongue or in the stomach and cause vomiting, decreased appetite and abdominal pain. Without surgery, the foreign material eventually cuts through the intestines, resulting in a life-threatening abdominal infection. If you see your cat chewing on tinsel or ribbon, it’s best to take it away and put it out of reach.
Rock salt and other ice-melting products used on sidewalks can cause paw burns. When tracked indoors on shoes, ice melts can be ingested and cause oral burns. Common signs include excessive drooling, depression and vomiting. “Pet-friendly” de-icing products are safer but can still cause some skin irritation with prolonged contact or vomiting if swallowed.
Antifreeze has a sweet taste (or so I’ve heard) and can be appealing to animals. Even small doses of the active ingredient, ethylene glycol, can be extremely toxic to all mammals. Within 12 hours, animals appear inebriated, develop increased thirst and urination and can have seizures. Two to three days after ingestion, they develop depression, vomiting and acute, irreversible kidney failure as crystals form within the kidneys. Keep antifreeze locked up and don’t use it on sidewalks.
If you believe your pet has ingested a potential toxin, please call us at 215-627-5955 or call the ASPCA Poison Control Hotline at 888-426-4435. The ASPCA has an extensive database of animal toxins. For a $65 fee, their toxicologists will consult with us to provide optimal treatment for your pet.
Have a safe and happy holiday season!
Dr. Nicolas Rose is an associate veterinarian at Society Hill Veterinary Hospital. For more information, visit www.societyhillvets.com or call 215-627-5955.